<<<
Compound: BOs2Br2
Source: Alexandria via LeMat-Bulk
Functional: GGA-PBE
Structure: optimized geometry

Cell lengths 7.705, 7.705, 2.933 Å; angles 90.00, 90.00, 90.00 degrees
Space group P4/mbm (No. 127)
Symmetry-distinct sites (fractional):
B 0.000 0.000 0.000 [2 per cell]
Os 0.176 0.324 0.500 [4 per cell]
Br 0.141 0.641 0.000 [4 per cell]

Properties
- ρ (g cm⁻³) = 10.5
- ΔE_f (raw) (eV per atom) = 2.3389
- uncorrected energy (eV/atom) = -4.16
- excess energy over the best structure of this formula in the dataset (meV/atom) = 217
- magnetic moment (Bohr magnetons per cell) = 0.0


No. 1
Material: PPt2Se
Method: DFT, PBE-GGA
State: optimized geometry

Values from the calculation:
- Theoretical density: 12.57 g/cm3
- Total energy: -19.10 eV per formula unit
- Polymorph energy (0 for the lowest one): 750 meV/atom
- E_form (uncorrected): 0.469 eV/atom

```
4
Lattice="-0.181 0.846 4.455 -3.801 1.660 1.841 -2.540 -2.613 2.705" Properties=species:S:1:pos:R:3 pbc="T T T"
P -3.261 -0.053 4.500
Pt 0.000 0.000 0.000
Pt -1.630 -0.026 2.250
Se -4.891 -0.079 6.751
```

No. 2
Material: NaSn6Au12
Method: DFT, PBE-GGA
State: optimized geometry

Values from the calculation:
- Theoretical density: 11.79 g/cm3
- Total energy: -67.32 eV per formula unit
- Formation enthalpy at 0 K: -0.14 eV/atom

```
19
Lattice="10.005 0.000 3.207 -4.392 5.997 2.228 1.221 0.000 7.664" Properties=species:S:1:pos:R:3 pbc="T T T"
Na 0.000 0.000 0.000
Au 3.460 0.991 2.488
Au 4.756 5.667 8.219
Au 7.427 1.632 9.441
Au 1.610 2.687 6.559
Au 5.223 3.310 6.539
Au 7.398 3.640 11.451
Au -0.593 4.365 3.658
Au -0.564 2.357 1.648
Au 2.078 0.330 4.880
Au 1.290 5.356 5.640
Au 5.544 0.641 7.459
Au 3.374 5.006 10.611
Sn -0.029 4.800 8.033
Sn 3.430 2.962 8.716
Sn 7.189 4.232 8.462
Sn 6.862 1.197 5.066
Sn -0.355 1.765 4.637
Sn 3.404 3.035 4.383
```

No. 3
Material: Y5TmSc2
Method: DFT, PBE-GGA
State: optimized geometry

Values from the calculation:
- Theoretical density: 4.82 g/cm3
- Total energy: -49.27 eV per formula unit
- Polymorph energy (0 for the lowest one): 0 meV/atom
- Formation enthalpy at 0 K: 0.02 eV/atom

```
8
Lattice="-4.698 1.418 5.149 -2.231 -0.842 -6.701 2.815 -5.697 1.673" Properties=species:S:1:pos:R:3 pbc="T T T"
Y -2.034 0.259 0.089
Y -3.884 -2.491 -0.846
Y -1.554 -4.739 4.281
Y -3.141 -0.172 -3.317
Y -0.419 -2.779 -0.070
Sc -1.527 -3.195 -3.456
Sc -2.763 -2.088 2.473
Tm -2.683 -5.151 0.981
```

No. 4
Material: Nb3ReH
Method: DFT, PBE-GGA
State: optimized geometry

Values from the calculation:
- Theoretical density: 10.64 g/cm3
- Total energy: -45.40 eV per formula unit
- Polymorph energy (0 for the lowest one): 0 meV/atom

```
5
Lattice="4.174 0.000 0.000 0.000 4.174 0.000 0.000 0.000 4.174" Properties=species:S:1:pos:R:3 pbc="T T T"
Nb 2.087 0.000 0.000
Nb 0.000 2.087 0.000
Nb 0.000 0.000 2.087
Re 2.087 2.087 2.087
H 0.000 0.000 0.000
```

No. 5
Material: Ca3TaAl
Method: DFT, PBE-GGA
State: optimized geometry

Values from the calculation:
- Theoretical density: 3.13 g/cm3
- Total energy: -15.96 eV per formula unit
- Polymorph energy (0 for the lowest one): 53 meV/atom
- Formation enthalpy at 0 K: 1.13 eV/atom

```
5
Lattice="5.583 0.000 0.000 0.000 5.583 0.000 0.000 0.000 5.583" Properties=species:S:1:pos:R:3 pbc="T T T"
Ca 0.000 0.000 2.792
Ca 0.000 2.792 0.000
Ca 2.792 0.000 0.000
Al 2.792 2.792 2.792
Ta 0.000 0.000 0.000
```

No. 6
Material: NbGa3Hg
Method: DFT, PBE-GGA
State: optimized geometry

Values from the calculation:
- Theoretical density: 6.15 g/cm3
- Total energy: -16.85 eV per formula unit
- Polymorph energy (0 for the lowest one): 0 meV/atom
- Formation enthalpy at 0 K: 0.52 eV/atom

```
5
Lattice="5.139 0.000 0.000 0.000 5.139 0.000 0.000 0.000 5.139" Properties=species:S:1:pos:R:3 pbc="T T T"
Nb 0.000 0.000 0.000
Ga 0.000 0.000 2.569
Ga 0.000 2.569 0.000
Ga 2.569 0.000 0.000
Hg 2.569 2.569 2.569
```

No. 7
Material: TeRu2
Method: DFT, PBE-GGA
State: optimized geometry

Values from the calculation:
- Theoretical density: 11.21 g/cm3
>>>

Echo only the last part of the material further up, starting with the line that has "6.539".

Au 5.223 3.310 6.539
Au 7.398 3.640 11.451
Au -0.593 4.365 3.658
Au -0.564 2.357 1.648
Au 2.078 0.330 4.880
Au 1.290 5.356 5.640
Au 5.544 0.641 7.459
Au 3.374 5.006 10.611
Sn -0.029 4.800 8.033
Sn 3.430 2.962 8.716
Sn 7.189 4.232 8.462
Sn 6.862 1.197 5.066
Sn -0.355 1.765 4.637
Sn 3.404 3.035 4.383
```

No. 3
Material: Y5TmSc2
Method: DFT, PBE-GGA
State: optimized geometry

Values from the calculation:
- Theoretical density: 4.82 g/cm3
- Total energy: -49.27 eV per formula unit
- Polymorph energy (0 for the lowest one): 0 meV/atom
- Formation enthalpy at 0 K: 0.02 eV/atom

```
8
Lattice="-4.698 1.418 5.149 -2.231 -0.842 -6.701 2.815 -5.697 1.673" Properties=species:S:1:pos:R:3 pbc="T T T"
Y -2.034 0.259 0.089
Y -3.884 -2.491 -0.846
Y -1.554 -4.739 4.281
Y -3.141 -0.172 -3.317
Y -0.419 -2.779 -0.070
Sc -1.527 -3.195 -3.456
Sc -2.763 -2.088 2.473
Tm -2.683 -5.151 0.981
```

No. 4
Material: Nb3ReH
Method: DFT, PBE-GGA
State: optimized geometry

Values from the calculation:
- Theoretical density: 10.64 g/cm3
- Total energy: -45.40 eV per formula unit
- Polymorph energy (0 for the lowest one): 0 meV/atom

```
5
Lattice="4.174 0.000 0.000 0.000 4.174 0.000 0.000 0.000 4.174" Properties=species:S:1:pos:R:3 pbc="T T T"
Nb 2.087 0.000 0.000
Nb 0.000 2.087 0.000
Nb 0.000 0.000 2.087
Re 2.087 2.087 2.087
H 0.000 0.000 0.000
```

No. 5
Material: Ca3TaAl
Method: DFT, PBE-GGA
State: optimized geometry

Values from the calculation:
- Theoretical density: 3.13 g/cm3
- Total energy: -15.96 eV per formula unit
- Polymorph energy (0 for the lowest one): 53 meV/atom
- Formation enthalpy at 0 K: 1.13 eV/atom

```
5
Lattice="5.583 0.000 0.000 0.000 5.583 0.000 0.000 0.000 5.583" Properties=species:S:1:pos:R:3 pbc="T T T"
Ca 0.000 0.000 2.792
Ca 0.000 2.792 0.000
Ca 2.792 0.000 0.000
Al 2.792 2.792 2.792
Ta 0.000 0.000 0.000
```

No. 6
Material: NbGa3Hg
Method: DFT, PBE-GGA
State: optimized geometry

Values from the calculation:
- Theoretical density: 6.15 g/cm3
- Total energy: -16.85 eV per formula unit
- Polymorph energy (0 for the lowest one): 0 meV/atom
- Formation enthalpy at 0 K: 0.52 eV/atom

```
5
Lattice="5.139 0.000 0.000 0.000 5.139 0.000 0.000 0.000 5.139" Properties=species:S:1:pos:R:3 pbc="T T T"
Nb 0.000 0.000 0.000
Ga 0.000 0.000 2.569
Ga 0.000 2.569 0.000
Ga 2.569 0.000 0.000
Hg 2.569 2.569 2.569
```

No. 7
Material: TeRu2
Method: DFT, PBE-GGA
State: optimized geometry

Values from the calculation:
- Theoretical density: 11.21 g/cm3